_Entries_
-- begin --
Entry from Alexandria via LeMat-Bulk: an optimized crystal structure of Pu3Mn5O12 (GGA+U).

Structure (POSCAR):
```
Pu3Mn5O12
1.0
11.016 0.000 0.000
-3.672 10.386 0.000
-3.672 -5.193 8.995
O Mn Pu
48 20 12
direct
0.416 0.284 0.327
0.416 0.132 0.590
0.327 0.784 0.416
0.132 0.716 0.542
0.368 0.958 0.784
0.084 0.910 0.368
0.868 0.284 0.458
0.173 0.090 0.958
0.673 0.458 0.590
0.958 0.368 0.284
0.458 0.784 0.868
0.868 0.584 0.910
0.368 0.410 0.084
0.590 0.958 0.673
0.090 0.916 0.132
0.132 0.416 0.090
0.042 0.410 0.827
0.542 0.216 0.132
0.716 0.132 0.042
0.090 0.173 0.458
0.632 0.042 0.216
0.284 0.416 0.827
0.410 0.368 0.584
0.716 0.584 0.173
0.410 0.042 0.327
0.458 0.673 0.090
0.327 0.542 0.410
0.084 0.173 0.216
0.673 0.216 0.584
0.216 0.673 0.084
0.916 0.827 0.784
0.284 0.868 0.958
0.916 0.090 0.632
0.827 0.910 0.042
0.584 0.868 0.410
0.632 0.590 0.916
0.784 0.458 0.368
0.584 0.716 0.673
0.173 0.084 0.716
0.827 0.916 0.284
0.784 0.327 0.916
0.216 0.542 0.632
0.542 0.327 0.910
0.958 0.590 0.173
0.042 0.632 0.716
0.910 0.084 0.868
0.910 0.827 0.542
0.590 0.632 0.416
0.875 0.625 0.750
0.125 0.750 0.375
0.500 0.000 0.000
0.750 0.625 0.375
0.500 0.000 0.500
0.375 0.250 0.125
0.250 0.875 0.125
0.625 0.750 0.875
0.250 0.375 0.625
0.000 0.500 0.000
0.750 0.125 0.875
0.375 0.125 0.750
0.875 0.250 0.625
0.125 0.375 0.250
0.500 0.500 0.000
0.000 0.000 0.000
0.000 0.500 0.500
0.625 0.875 0.250
0.000 0.000 0.500
0.500 0.500 0.500
0.875 0.750 0.125
0.125 0.875 0.750
0.250 0.125 0.375
0.750 0.375 0.125
0.750 0.875 0.625
0.625 0.250 0.375
0.125 0.250 0.875
0.375 0.625 0.250
0.875 0.125 0.250
0.250 0.625 0.875
0.375 0.750 0.625
0.625 0.375 0.750
```

Values from the calculation:
The value obtained for the density of states at the Fermi level is 1.1494 states/eV per atom. The calculation puts the total energy at -0.337 Ha/atom.

----------

No. 1
# Pr2Sm4HoSc PBE optimized geometry
data_Pr2Sm4HoSc
_chemical_formula_sum 'Pr2 Sm4 Ho1 Sc1'
_cell_length_a 5.077
_cell_length_b 5.091
_cell_length_c 10.140
_cell_angle_alpha 90.00
_cell_angle_beta 90.06
_cell_angle_gamma 90.00
_space_group_name_H-M_alt 'P 1 2/m 1'
_space_group_IT_number 10
_space_group_name_Hall '-P 2y'
loop_
_atom_site_label
_atom_site_fract_x
_atom_site_fract_y
_atom_site_fract_z
Pr1 0.000 0.000 0.000
Pr2 0.500 0.500 0.500
Sm1 0.000 0.500 0.245
Sm2 0.500 0.000 0.246
Ho1 0.000 0.000 0.500
Sc1 0.500 0.500 0.000
# E (eV/atom): -4.88
# Density (g/cm³): 6.93
# Energy of formation from the pure elements (eV per atom): 0.03

No. 2
# Li4EuRh PBE optimized geometry
data_Li4EuRh
_chemical_formula_sum 'Li16 Eu4 Rh4'
_cell_length_a 7.548
_cell_length_b 7.548
_cell_length_c 7.548
_cell_angle_alpha 90.00
_cell_angle_beta 90.00
_cell_angle_gamma 90.00
_space_group_name_H-M_alt 'F -4 3 m'
_space_group_IT_number 216
_space_group_name_Hall 'F -4 2 3'
loop_
_atom_site_label
_atom_site_fract_x
_atom_site_fract_y
_atom_site_fract_z
Li1 0.121 0.121 0.379
Eu1 0.000 0.000 0.000
Rh1 0.250 0.250 0.750
# E (eV/atom): -4.19
# Density (g/cm³): 4.37
# Energy of formation from the pure elements (eV per atom): 0.02

No. 3
# TlGeRh3 PBE optimized geometry
data_TlGeRh3
_chemical_formula_sum 'Tl1 Ge1 Rh3'
_cell_length_a 4.946
_cell_length_b 4.946
_cell_length_c 4.946
_cell_angle_alpha 90.00
_cell_angle_beta 90.00
_cell_angle_gamma 90.00
_space_group_name_H-M_alt 'P m -3 m'
_space_group_IT_number 221
_space_group_name_Hall '-P 4 2 3'
loop_
_atom_site_label
_atom_site_fract_x
_atom_site_fract_y
_atom_site_fract_z
Tl1 0.000 0.000 0.000
Ge1 0.500 0.500 0.500
Rh1 0.000 0.000 0.500
# E (eV/atom): -4.25
# Energy above the lowest structure with this stoichiometry (eV/f.u.): 6.28
# Density (g/cm³): 8.04
# Energy of formation from the pure elements (eV per atom): 1.56

No. 4
# Ho2ScAg3Se6 PBE optimized geometry
data_Ho2ScAg3Se6
_chemical_formula_sum 'Ho4 Sc2 Ag6 Se12'
_cell_length_a 17.444
_cell_length_b 4.091
_cell_length_c 8.107
_cell_angle_alpha 90.00
_cell_angle_beta 101.84
_cell_angle_gamma 90.00
-- stop --

_Job_
Could you copy all of the entries further up verbatim?

_Result_
Entry from Alexandria via LeMat-Bulk: an optimized crystal structure of Pu3Mn5O12 (GGA+U).

Structure (POSCAR):
```
Pu3Mn5O12
1.0
11.016 0.000 0.000
-3.672 10.386 0.000
-3.672 -5.193 8.995
O Mn Pu
48 20 12
direct
0.416 0.284 0.327
0.416 0.132 0.590
0.327 0.784 0.416
0.132 0.716 0.542
0.368 0.958 0.784
0.084 0.910 0.368
0.868 0.284 0.458
0.173 0.090 0.958
0.673 0.458 0.590
0.958 0.368 0.284
0.458 0.784 0.868
0.868 0.584 0.910
0.368 0.410 0.084
0.590 0.958 0.673
0.090 0.916 0.132
0.132 0.416 0.090
0.042 0.410 0.827
0.542 0.216 0.132
0.716 0.132 0.042
0.090 0.173 0.458
0.632 0.042 0.216
0.284 0.416 0.827
0.410 0.368 0.584
0.716 0.584 0.173
0.410 0.042 0.327
0.458 0.673 0.090
0.327 0.542 0.410
0.084 0.173 0.216
0.673 0.216 0.584
0.216 0.673 0.084
0.916 0.827 0.784
0.284 0.868 0.958
0.916 0.090 0.632
0.827 0.910 0.042
0.584 0.868 0.410
0.632 0.590 0.916
0.784 0.458 0.368
0.584 0.716 0.673
0.173 0.084 0.716
0.827 0.916 0.284
0.784 0.327 0.916
0.216 0.542 0.632
0.542 0.327 0.910
0.958 0.590 0.173
0.042 0.632 0.716
0.910 0.084 0.868
0.910 0.827 0.542
0.590 0.632 0.416
0.875 0.625 0.750
0.125 0.750 0.375
0.500 0.000 0.000
0.750 0.625 0.375
0.500 0.000 0.500
0.375 0.250 0.125
0.250 0.875 0.125
0.625 0.750 0.875
0.250 0.375 0.625
0.000 0.500 0.000
0.750 0.125 0.875
0.375 0.125 0.750
0.875 0.250 0.625
0.125 0.375 0.250
0.500 0.500 0.000
0.000 0.000 0.000
0.000 0.500 0.500
0.625 0.875 0.250
0.000 0.000 0.500
0.500 0.500 0.500
0.875 0.750 0.125
0.125 0.875 0.750
0.250 0.125 0.375
0.750 0.375 0.125
0.750 0.875 0.625
0.625 0.250 0.375
0.125 0.250 0.875
0.375 0.625 0.250
0.875 0.125 0.250
0.250 0.625 0.875
0.375 0.750 0.625
0.625 0.375 0.750
```

Values from the calculation:
The value obtained for the density of states at the Fermi level is 1.1494 states/eV per atom. The calculation puts the total energy at -0.337 Ha/atom.

----------

No. 1
# Pr2Sm4HoSc PBE optimized geometry
data_Pr2Sm4HoSc
_chemical_formula_sum 'Pr2 Sm4 Ho1 Sc1'
_cell_length_a 5.077
_cell_length_b 5.091
_cell_length_c 10.140
_cell_angle_alpha 90.00
_cell_angle_beta 90.06
_cell_angle_gamma 90.00
_space_group_name_H-M_alt 'P 1 2/m 1'
_space_group_IT_number 10
_space_group_name_Hall '-P 2y'
loop_
_atom_site_label
_atom_site_fract_x
_atom_site_fract_y
_atom_site_fract_z
Pr1 0.000 0.000 0.000
Pr2 0.500 0.500 0.500
Sm1 0.000 0.500 0.245
Sm2 0.500 0.000 0.246
Ho1 0.000 0.000 0.500
Sc1 0.500 0.500 0.000
# E (eV/atom): -4.88
# Density (g/cm³): 6.93
# Energy of formation from the pure elements (eV per atom): 0.03

No. 2
# Li4EuRh PBE optimized geometry
data_Li4EuRh
_chemical_formula_sum 'Li16 Eu4 Rh4'
_cell_length_a 7.548
_cell_length_b 7.548
_cell_length_c 7.548
_cell_angle_alpha 90.00
_cell_angle_beta 90.00
_cell_angle_gamma 90.00
_space_group_name_H-M_alt 'F -4 3 m'
_space_group_IT_number 216
_space_group_name_Hall 'F -4 2 3'
loop_
_atom_site_label
_atom_site_fract_x
_atom_site_fract_y
_atom_site_fract_z
Li1 0.121 0.121 0.379
Eu1 0.000 0.000 0.000
Rh1 0.250 0.250 0.750
# E (eV/atom): -4.19
# Density (g/cm³): 4.37
# Energy of formation from the pure elements (eV per atom): 0.02

No. 3
# TlGeRh3 PBE optimized geometry
data_TlGeRh3
_chemical_formula_sum 'Tl1 Ge1 Rh3'
_cell_length_a 4.946
_cell_length_b 4.946
_cell_length_c 4.946
_cell_angle_alpha 90.00
_cell_angle_beta 90.00
_cell_angle_gamma 90.00
_space_group_name_H-M_alt 'P m -3 m'
_space_group_IT_number 221
_space_group_name_Hall '-P 4 2 3'
loop_
_atom_site_label
_atom_site_fract_x
_atom_site_fract_y
_atom_site_fract_z
Tl1 0.000 0.000 0.000
Ge1 0.500 0.500 0.500
Rh1 0.000 0.000 0.500
# E (eV/atom): -4.25
# Energy above the lowest structure with this stoichiometry (eV/f.u.): 6.28
# Density (g/cm³): 8.04
# Energy of formation from the pure elements (eV per atom): 1.56

No. 4
# Ho2ScAg3Se6 PBE optimized geometry
data_Ho2ScAg3Se6
_chemical_formula_sum 'Ho4 Sc2 Ag6 Se12'
_cell_length_a 17.444
_cell_length_b 4.091
_cell_length_c 8.107
_cell_angle_alpha 90.00
_cell_angle_beta 101.84
_cell_angle_gamma 90.00